Minus 2, Plus 1

We regretfully lost two members this past week. Sally has moved to Alabama, and Paul to Minnesota. We’re hoping one or both will return soon. Until that time, they will be sorely missed.

But this loss was offset by the possibility of gaining a new member. Maggie came to ring with us today. She has rung in a tune ringing choir, and heard about change ringing at a recent Area 12 Spring Ring. She caught on very quickly, ringing the trebles for Plain Hunt on both 6 and 8 this evening! We’re hoping that she can ring with us more often.

While Maggie was resting from cramming all this information into her brain, Jane, Paris, Ange, and Randy started working on ringing a long touch of Bob Major. We started with a simple plain course, since Paris hasn’t rung with us for a few months. After doing so, we started with some bobs, just to get used to them. We hope to ring a celebratory quarter peal in honor of Paul’s newborn, scheduled to arrive in November. We have a lot of work to do!

## Next to the piece, the page also holds records of molecules
~~~
Here is a cluster of 3 separate species, C25H31BrF8N2O4S in total from the Open Molecules 2025 dataset. Energies are from ωB97M-V/def2-TZVPD.

## Properties
Kohn-Sham gap in eV: 7.04
Structure (SMILES): COCCCc1nc2cc(Br)c(S)cc2nc1CCOCC(F)(F)C(F)(F)C(F)(F)C(F)F.CC(C)=O.CC(C)=O

The geometry in ORCA input format:
```
! RIJCOSX wB97M-V def2-TZVPD def2/J DEFGRID3
* xyz 0 1
C -4.124 4.345 -2.450
O -3.179 4.556 -3.561
C -1.844 3.982 -3.255
C -1.304 3.232 -4.610
C -1.193 1.578 -4.463
C -2.562 1.035 -3.676
N -3.864 1.597 -4.176
C -5.065 1.087 -3.435
C -6.550 1.656 -3.906
C -7.962 1.229 -3.159
Br -9.663 2.026 -3.848
C -7.831 0.171 -1.900
S -9.451 -0.308 -1.027
C -6.344 -0.419 -1.452
C -4.919 0.037 -2.201
N -3.663 -0.564 -1.637
C -2.515 -0.032 -2.448
C -1.003 -0.614 -2.030
C -0.223 0.332 -0.939
O 0.516 -0.609 -0.034
C 1.528 0.113 0.754
C 2.435 -1.069 1.514
F 2.452 -2.217 0.538
F 3.843 -0.667 1.742
C 1.685 -1.664 2.868
F 1.865 -3.162 2.896
F 0.200 -1.429 2.836
C 2.334 -1.082 4.257
F 2.593 0.395 4.184
F 3.592 -1.856 4.549
C 1.352 -1.298 5.579
F 0.593 -2.570 5.543
F 2.237 -1.349 6.781
H -3.964 3.286 -1.931
H -5.264 4.351 -2.784
H -4.015 5.233 -1.673
H -1.139 4.922 -3.046
H -1.811 3.335 -2.280
H -0.262 3.712 -4.905
H -2.063 3.526 -5.479
H -1.292 1.152 -5.570
H -0.198 1.230 -3.956
H -6.602 2.395 -4.811
H -9.848 0.922 -0.415
H -6.367 -1.196 -0.549
H -1.182 -1.661 -1.522
H -0.310 -0.795 -2.956
H -0.917 1.060 -0.334
H 0.544 1.032 -1.526
H 1.033 0.785 1.585
H 2.251 0.786 0.125
H 0.639 -0.350 5.675
C 5.561 0.483 -3.614
C 4.751 1.022 -2.465
C 4.947 0.382 -1.117
O 3.959 1.950 -2.622
H 5.316 1.040 -4.524
H 6.627 0.604 -3.406
H 5.322 -0.571 -3.774
H 5.986 0.498 -0.798
H 4.681 -0.677 -1.166
H 4.298 0.872 -0.384
C 3.358 -4.046 7.160
C 4.529 -4.906 7.556
C 5.716 -4.931 6.631
O 4.516 -5.562 8.596
H 2.575 -4.126 7.921
H 3.672 -3.001 7.089
H 2.953 -4.388 6.204
H 6.134 -3.926 6.536
H 5.415 -5.312 5.652
H 6.484 -5.593 7.044
*
```

---

Here is an isolated molecule of C2H5N3O from the Open Molecules 2025 dataset. Energies are from ωB97M-V/def2-TZVPD.

## Properties
Kohn-Sham gap in eV: 9.83
Structure (SMILES): O[C@H]1CN=NN1

The geometry in ORCA input format:
```
! RIJCOSX wB97M-V def2-TZVPD def2/J DEFGRID3
* xyz 0 1
O -1.522 0.640 -0.581
C -0.637 0.217 0.354
C 0.057 -1.099 0.141
N 1.337 -0.722 -0.408
N 1.567 0.488 -0.358
N 0.776 1.216 0.366
H -1.216 0.396 -1.551
H -1.045 0.356 1.319
H 0.374 -1.802 1.105
H -0.393 -1.851 -0.565
H 0.702 2.161 0.180
*
```

---

Here is a cluster of 2 separate species, C2H10N4 in total from the Open Molecules 2025 dataset. Energies are from ωB97M-V/def2-TZVPD.

## Properties
Kohn-Sham gap in eV: 10.07
Structure (SMILES): [H]/N=C/N.NCN

The geometry in ORCA input format:
```
! RIJCOSX wB97M-V def2-TZVPD def2/J DEFGRID3
* xyz 0 1
H -3.462 1.119 0.620
N -3.126 0.164 0.718
C -2.066 0.255 1.428
N -1.213 -0.800 1.627
H -1.956 1.088 2.128
H -1.328 -1.663 1.118
H -0.260 -0.600 1.852
N 1.742 1.309 -1.292
C 1.729 -0.122 -1.663
N 2.253 -0.950 -0.529
~~~

Minus 2, Plus 1

Weekly ringing, October 22 2015

We had a small group tonight. Just Paul and Jane and Randy. So we continued with our attempts at Kent Treble Bob minor, but just couldn’t get anywhere with it tonight. Maybe that had something to do with Randy just having returned from a week in the UK, and so still suffering from jet lag. Whatever.

Here the article breaks off for molecular data:
........
No. 1
Computed, not measured: a molecular structure, Ag2I in a non-equilibrium geometry, with wB97M-V/def2-TZVPD.

Molar mass ... 342.64 g mol⁻¹
Kohn-Sham gap (spin up / spin down) ... 11.2155 / 6.1474 eV
Largest force on an atom ... 0.0237 hartree/bohr
Multiplicity ... 3
Electronic energy ... -590.14213 a.u.
ΔE to the lowest compared entry with this formula, charge and spin ... 80.3 kcal/mol
Net charge ... +3

XYZ file:
```
3
Ag2I (wB97M-V/def2-TZVPD)
Ag 0.349 -2.304 -1.626
Ag -0.603 2.299 1.622
I 0.255 0.005 0.005
```


No. 2
Computed, not measured: a molecular structure, AgClCu in a non-equilibrium geometry, with wB97M-V/def2-TZVPD.

Molar mass ... 206.87 g mol⁻¹
Kohn-Sham gap (spin up / spin down) ... 12.4867 / 6.8735 eV
Largest force on an atom ... 0.1426 hartree/bohr
Multiplicity ... 3
Electronic energy ... -2245.90712 a.u.
ΔE to the lowest compared entry with this formula, charge and spin ... 117.8 kcal/mol
Net charge ... +3

XYZ file:
```
3
AgClCu (wB97M-V/def2-TZVPD)
Ag -0.624 -1.237 -1.211
Cu 0.347 1.515 0.892
Cl 0.277 -0.278 0.320
```


No. 3
Computed, not measured: a molecular structure, AgH16O8 in a non-equilibrium geometry, with wB97M-V/def2-TZVPD.

Molar mass ... 251.99 g mol⁻¹
Kohn-Sham gap ... 9.3465 eV
Largest force on an atom ... 0.0637 hartree/bohr
Electronic energy ... -758.22668 a.u.
ΔE to the lowest compared entry with this formula, charge and spin ... 16.7 kcal/mol
Net charge ... +1

XYZ file:
```
25
AgH16O8 (wB97M-V/def2-TZVPD)
Ag 2.369 4.674 -1.432
O 1.874 5.355 0.832
H 1.122 5.574 1.415
H 2.265 6.237 0.675
O -0.095 4.431 -1.800
H -0.592 4.011 -2.444
H -0.578 4.344 -1.030
O 4.799 4.204 -0.194
H 5.197 3.503 -0.721
H 5.113 4.006 0.659
O 1.870 4.671 -4.073
H 0.958 4.719 -3.883
H 2.124 5.523 -4.308
O 4.001 3.117 -2.918
H 4.942 3.145 -3.191
H 3.878 2.373 -2.350
O 1.727 2.529 -0.749
H 2.479 2.364 -0.174
H 0.864 2.371 -0.314
O 4.161 5.807 -2.267
H 4.931 5.499 -1.876
H 4.279 5.380 -3.126
O 1.532 7.171 -1.503
H 1.042 7.638 -2.161
H 1.145 7.535 -0.761
```


No. 4
Computed, not measured: a molecular structure, AlBH10O3 in a non-equilibrium geometry, with wB97M-V/def2-TZVPD.

Molar mass ... 95.87 g mol⁻¹
Kohn-Sham gap ... 5.6116 eV
Largest force on an atom ... 0.1270 hartree/bohr
Electronic energy ... -498.03790 a.u.
ΔE to the lowest compared entry with this formula, charge and spin ... 103.8 kcal/mol
Net charge ... +2

XYZ file:
```
15
AlBH10O3 (wB97M-V/def2-TZVPD)
Al -8.229 9.169 9.426
B -6.146 10.604 9.692
H -6.285 11.039 10.670
H -6.852 10.990 8.973
H -5.126 10.803 9.404
H -6.242 9.541 9.848
O -6.845 9.281 7.920
H -7.012 9.856 7.173
H -5.984 8.902 7.743
O -8.886 9.214 7.407
H -9.708 8.827 7.109
H -8.663 9.854 6.731
O -8.106 7.390 8.260
H -8.432 7.562 7.377
H -7.933 6.448 8.272
```


No. 5
Computed, not measured: a molecular structure, AlBH20O8 in a non-equilibrium geometry, with wB97M-V/def2-TZVPD.

Molar mass ... 185.95 g mol⁻¹
Kohn-Sham gap (spin up / spin down) ... 10.1243 / 5.0108 eV
........

So we decided to try some other things. First up was to ring a plain course of Bob Minor as fast as we could. After practicing once, we actually recorded it. The recording is on Jane’s phone, and if I ever get access to it, I will post it. We could do better, but the time of the method was 1 minute, 48 seconds. We’re working on getting it even faster.

But after recording a speedy Plain Bob Minor, we decided to try something completely different, and so Jane explained Double Bob. This is very similar to Plain Bob, except that there are half leads – when the treble is at the back, you make fifths, and bells 1-4 mix it up. (In standard notation, at the back end you do a 56.) We were able to ring that with Randy on 12, Jane on 34, and Paul on 56. We then switched bells, with Randy and Paul swapping. This didn’t go quite as smoothly, but we eventually got it. Finally, Paul wanted to ring 34, and so Jane took the trebles and we tried that. I don’t think we ever actually got through the entire method even once in that arrangement! But we will keep trying.

Sadly, tonight was the last night that Paul will be ringing with us regularly. He is moving to Wisconsin for a while. We’re hoping that he returns within a year, but we’ll see what happens.

Next to the page, the page also holds records of molecules:
┌──
Entry 1:
Entry from the OMol25 dataset: the ion C3H3N2O3 with charge -1 (ωB97M-V with the def2-TZVPD basis set).

Each line ends with the natural charge from an NBO analysis.
CARTESIAN COORDINATES (ANGSTROEM)
1 C -1.282 1.011 0.318  0.400
2 C -0.621 -0.956 -0.211  0.556
3 C 0.504 0.252 -0.627  0.081
4 N -1.592 -0.240 0.398  -0.584
5 N 1.454 -0.086 0.434  -0.290
6 O 2.327 -0.966 0.070  -0.735
7 O -0.505 -2.177 -0.209  -0.604
8 O -0.217 1.408 -0.330  -0.471
9 H -2.054 1.859 0.555  0.163
10 H 1.081 0.338 -1.635  0.200
11 H 0.904 -0.445 1.238  0.284

Output
* ΔE to the lowest compared entry with this formula, charge and spin: 4.954 eV
* F_max: 3.79 eV/Å
* electronic energy: -451.25264 Ha
* net charge: -1
* SMILES: O=C1N=CO[C@H]1N[O-]

Entry 2:
Entry from the OMol25 dataset: a cluster of 2 separate species, C3H3N2O3 in total (ωB97M-V with the def2-TZVPD basis set).

Each line ends with the natural charge from an NBO analysis.
CARTESIAN COORDINATES (ANGSTROEM)
1 C -2.214 -0.316 0.438  0.793
2 C 0.548 -1.271 -0.263  0.880
3 C 1.550 0.806 -0.245  -0.412
4 N -1.050 -0.099 0.956  -0.452
5 N 1.450 -0.492 -0.636  -0.621
6 O -3.125 -1.033 0.214  -0.664
7 O -1.858 0.975 0.177  -0.527
8 O 0.062 -2.331 -0.323  -0.553
9 H 2.195 1.537 -0.916  0.161
10 H 0.590 1.300 -0.189  0.218
11 H 1.852 0.926 0.788  0.177

Output
* ΔE to the lowest compared entry with this formula, charge and spin: 3.589 eV
* F_max: 4.84 eV/Å
* electronic energy: -451.30281 Ha
* net charge: -1

Entry 3:
Entry from the OMol25 dataset: a structure of composition C3H3N2O3 (ωB97M-V with the def2-TZVPD basis set).

Each line ends with the natural charge from an NBO analysis.
CARTESIAN COORDINATES (ANGSTROEM)
1 C -1.086 0.602 -0.088  0.448
2 C 1.283 0.246 -0.115  0.728
3 C -1.080 -0.888 0.327  0.156
4 N 0.216 1.071 -0.483  -0.697
5 N 0.866 -0.752 0.594  -0.829
6 O -1.729 -1.305 1.319  -0.428
7 O -2.025 1.330 -0.178  -0.612
8 O 2.393 0.577 -0.502  -0.747
9 H -0.731 -1.444 -0.661  0.227
10 H 0.346 1.987 -0.968  0.405
11 H 1.547 -1.422 0.753  0.347

Output
* ΔE to the lowest compared entry with this formula, charge and spin: 0.407 eV
* F_max: 4.35 eV/Å
* electronic energy: -451.25282 Ha
* net charge: -1
* spin multiplicity: 3
* expectation value of S²: 2.01

Entry 4:
Entry from the OMol25 dataset: an isolated molecule of C3H3N2OP (ωB97M-V with the def2-TZVPD basis set).

Each line ends with the natural charge from an NBO analysis.
CARTESIAN COORDINATES (ANGSTROEM)
1 C 0.474 -0.702 -0.837  0.013
2 C 0.145 0.674 0.871  0.022
3 C -0.555 -0.050 -0.102  -0.623
4 N 1.650 -0.398 -0.353  -0.237
5 N 1.443 0.432 0.675  -0.321
6 O -3.215 -0.835 -1.397  -0.863
7 P -2.322 0.141 -0.037  1.119
8 H 0.379 -1.367 -1.667  0.235
9 H -0.224 1.308 1.649  0.234
10 H 2.226 0.795 1.198  0.421

Output
* ΔE to the lowest compared entry with this formula, charge and spin: 2.567 eV
* F_max: 8.39 eV/Å
* electronic energy: -642.11354 Ha
* SMILES: O=Pc1cn[nH]c1
└──

Weekly ringing, October 22 2015